Abstract graphics of cubes, hexagons, circles, a hand and a face as well as four people to symbolise teamwork. A standing person holds the graphics in the air, a person sitting in a wheelchair transports a box, a person equipped with blind cane carries a folder and another standing person presses bent against the graphics.

How Service Design can help your team to build accessible and inclusive digital products

## Between two parts of the text: materials data
┌──
Li2VFeP4O14: optimized geometry, GGA+U.

a b c (Å): 7.0412 8.2528 14.0514
angles (deg): 89.98 99.42 90.14
With the nearest neighbours (Å) after each atom.
Sites, in units of the cell vectors:
1 P 0.6514 0.7844 0.7373  4 O 1.52-1.63
2 P 0.6810 0.2831 0.5957  4 O 1.52-1.62
3 P 0.6112 0.1795 0.1331  4 O 1.53-1.62
4 P 0.0550 0.6811 0.5331  4 O 1.53-1.62
5 P 0.7221 0.6794 0.2001  4 O 1.53-1.61
6 P 0.9846 0.7841 0.0704  4 O 1.52-1.63
7 P 0.3892 0.6811 0.8667  4 O 1.53-1.61
8 P 0.3190 0.7832 0.4042  4 O 1.52-1.62
9 P 0.0146 0.2829 0.9292  4 O 1.52-1.62
10 P 0.9450 0.1812 0.4669  4 O 1.53-1.62
11 P 0.2789 0.1795 0.8001  4 O 1.53-1.62
12 P 0.3488 0.2841 0.2628  4 O 1.52-1.63
13 O 0.2221 0.6529 0.4685  2 P 1.62
14 O 0.0867 0.5384 0.6042  1 P 1.54
15 O 0.5547 0.6532 0.8015  2 P 1.61-1.63
16 O 0.5770 0.3436 0.0822  1 P 1.53
17 O 0.1641 0.3228 0.0172  1 P 1.52
18 O 0.1939 0.6790 0.7993  1 P 1.54
19 O 0.8352 0.8252 0.9826  1 P 1.52
20 O 0.2467 0.0369 0.7294  1 P 1.53
21 O 0.4199 0.5382 0.9375  1 P 1.54
22 O 0.7777 0.1530 0.5316  2 P 1.62
23 O 0.1110 0.1529 0.8650  2 P 1.62
24 O 0.8252 0.6966 0.7100  1 P 1.53
25 O 0.9132 0.0384 0.3958  1 P 1.54
26 O 0.9077 0.3455 0.4158  1 P 1.54
27 O 0.9495 0.4333 0.8680  1 P 1.54
28 O 0.4981 0.3252 0.3507  1 P 1.52
29 O 0.0496 0.9343 0.1322  1 P 1.54
30 O 0.8306 0.3228 0.6837  1 P 1.52
31 O 0.8881 0.6531 0.1348  2 P 1.61-1.63
32 O 0.7530 0.5368 0.2707  1 P 1.53
33 O 0.2433 0.3436 0.7489  1 P 1.54
34 O 0.5802 0.0367 0.0627  1 P 1.53
35 O 0.1694 0.8228 0.3163  1 P 1.52
36 O 0.1747 0.1964 0.2902  1 P 1.52
37 O 0.1584 0.6965 0.0432  1 P 1.52
38 O 0.4733 0.1785 0.8675  1 P 1.53
39 O 0.2839 0.4342 0.2012  1 P 1.54
40 O 0.5060 0.1940 0.6226  1 P 1.53
41 O 0.1397 0.1791 0.5340  1 P 1.53
42 O 0.7150 0.9336 0.7996  1 P 1.53
43 O 0.8604 0.6790 0.4660  1 P 1.53
44 O 0.8064 0.1785 0.2009  1 P 1.54
45 O 0.6173 0.4328 0.5338  1 P 1.53
46 O 0.8393 0.1939 0.9560  1 P 1.53
47 O 0.0924 0.8454 0.5843  1 P 1.54
48 O 0.4451 0.1532 0.1986  2 P 1.62-1.63
49 O 0.5270 0.6784 0.1324  1 P 1.54
50 O 0.4254 0.8454 0.9176  1 P 1.53
51 O 0.5020 0.8252 0.6494  1 P 1.52
52 O 0.3829 0.9328 0.4662  1 P 1.54
53 O 0.7564 0.8435 0.2512  1 P 1.53
54 O 0.4938 0.6941 0.3774  1 P 1.53
55 Fe 0.6733 0.4990 0.4054  6 O 1.96-2.08
56 Fe 0.6600 0.9993 0.9277  6 O 1.97-2.09
57 Fe 0.3267 0.9990 0.5946  6 O 1.97-2.09
58 V 0.9897 0.9994 0.2611  6 O 2.00-2.08
59 V 0.0102 0.4992 0.7387  6 O 2.00-2.09
60 V 0.3436 0.4994 0.0723  6 O 2.00-2.09
61 Li 0.9510 0.3634 0.2747  4 O 1.99-2.08
62 Li 0.6172 0.3627 0.9413  4 O 2.00-2.08
63 Li 0.7162 0.8627 0.3920  4 O 2.00-2.08
64 Li 0.2838 0.3627 0.6080  4 O 2.00-2.08
65 Li 0.3823 0.8634 0.0587  4 O 1.99-2.08
66 Li 0.0491 0.8635 0.7253  4 O 1.99-2.08

Summary:
SG: No. 1
M_tot (μB/cell): 21.00
Total energy (eV/atom): -7.116
Formation energy (meV/atom): -2628.7

~~~~~

1.
# Al2O3

A geometry-optimized Al2O3 structure (GGA-PBE, the Materials Project).

**M_tot**: 0.0 μB per cell
**Symmetry**: P1, No. 1
└──

Eileen Boerner
IBM Design
7 min readApr 25, 2023


During my time within the software industry, I have noticed that people tend to get discouraged when designing for accessibility. Accessibility can seem like a black box, with several questions looming. How do I start? How to estimate the effort without experience? How to integrate accessibility within the software development process? Several questions and rarely anyone or anything to relate to for practice hints. These are the aspects I found myself confronted with when first addressing the topic of digital accessibility. I am hoping that sharing my experiences reduces some of the concerns out there.

I am currently working as a UX Designer and Subject Matter Expert (SME) on accessibility for IBM iX for a large software development team that has been working on an application for several years. During the development process it was decided that the product must meet accessible standards. As a result, the accessibility testing revealed a large number of bugs that our development team found difficult to fix. The accessibility bugs only described THAT the elements on the screen were not accessible, but what they did not cover is the description on HOW to behave to be accessible. At this point the tickets were handed over to the designers. We needed to rethink the designs and behaviours across the entire application, with accessibility in mind. My design team was tasked with approaching those accessibility bugs and propose the needed solutions. This brings us to my core statement about the following problem:

How do you approach the accessibility transformation of a digital application project if the project has already been developed for years without accessibility?

This was an enormous challenge that took me a few attempts until I was able to handle it step by step. I would like to pass on my takeaways on how and why to integrate accessibility within the Service Design approach.

What is Service Design?

Service Design takes the end-to-end service experience of different users into consideration, including the backstage and frontstage. The backstage aspect covers the steps and processes that are not visible but need to function to deliver the best possible experience for the frontstage area.

“Service Design is the activity of planning and organizing a business’s resources (people, props, and processes) in order to (1) directly improve the employee’s experience, and (2) indirectly, the customer’s experience.” (Gibbons, 2017)

Therefore, Service Design helps us to consider backstage requirements to deliver a smooth customer experience.

Why integrate accessibility within the Service Design approach?

Digital accessibility is about maintaining certain minimum values. Among others, the Web Content Accessibility Guidelines (WCAG,2023) offer a structured and solid basis on which assistive systems can be founded.

Let’s dive into two examples for design aspects and two examples of development aspects of the created bug tickets to give you a hint of the content the project was confronted with.

One bug ticket pointed out that contrast values were too low, but it did not suggest color values that would solve the problem. Contrast values are crucial for accessibility to be sure that all content is visible on all screens. Having a clear vision on colour coding and existing brand colours as a designer can be a challenge, facing the defined contrast values as a minimum. It is nevertheless also something which can usually be adapted by minor changes of the colour palette. Another example of accessibilty concerns covers the requirement of providing alternative text descriptions for images and videos. These need to be implemented throughout all stages of the development as they help people with visual impairments. The challenge that arises is not only to point out the missing alternative text description of images for the individual features and screens but rather to precisely describe what the description should be. These are two common examples that designer can help with, but not all accessibility aspects can be covered by design only.

Example of a design with and without improved text contrast, and another design with and without a screen reader description of an image
Visualisation contrast and screenreader improvement scenario

The bug tickets also pointed out the lack of focus on interactive elements while navigating through the screen with a keyboard. Marking interactive elements as selectable within the code is essential to trigger functionalities. Another common bug dealt with the missing breaks of enlarged text contents which leaves the screen and could no longer be viewed by the user without a scroll function. Defining the maximum width of each component is key to not place content out of reach. Those two problems are examples which are being addressed by the developers to ensure the optimal technical structure within the code base.

Example of a design with and without keyboard focus indicators, and another design with and without text that reflows when resized
Visualisation keyboard focus and resizing fonts

This leads me to my first takeaway. The creation of an accessible application is not based on a single task for testing, development, design or even management. It is teamwork where everyone must fulfil their part to be able to cover all the accessibility criteria and to perform in the best possible way for our customers.

# Inserted here: materials data
+++
Ga2H6Se3O12 (PBE-GGA, optimized geometry); crystal system = trigonal; space-group type = R3c; largest piezoelectric modulus = 1.0 C/m2
1.0
7.233 -4.695 0.000
7.233 4.695 0.000
4.186 0.000 7.539
Ga H Se O
4 12 6 24
Cartesian
2.296 0.000 0.928
11.623 0.000 4.698
6.695 0.000 2.706
16.022 0.000 6.475
6.743 -0.674 5.354
7.895 2.448 2.506
8.332 -1.774 1.423
11.884 0.674 1.585
10.426 -2.921 5.193
9.988 2.247 6.276
8.108 0.072 4.973
9.015 1.326 2.728
8.968 -1.398 2.844
13.248 -0.072 1.204
11.061 -3.296 6.613
11.108 3.369 6.497
13.551 -2.128 6.388
13.335 1.796 6.922
14.716 0.333 3.504
11.457 -2.566 2.618
9.576 -0.333 7.274
11.242 2.899 3.153
8.611 -3.070 0.137
5.872 -1.149 6.912
7.865 4.219 1.982
10.704 -1.625 3.907
9.958 0.476 5.752
11.013 1.149 3.143
8.080 0.524 7.419
10.414 3.073 1.643
10.074 -3.597 2.485
13.220 -0.524 3.649
12.167 -1.098 6.254
12.508 1.622 5.412
14.618 -1.101 7.294
14.983 1.663 6.391
15.697 -0.562 4.623
5.291 1.101 3.524
6.370 0.562 0.854
5.656 -1.663 2.621
7.352 -0.441 4.600
8.058 1.528 2.854
8.344 -1.087 2.146
12.493 0.441 0.831
10.437 -3.608 5.916
10.151 3.167 6.624

***

Tl2SnS3 (PBE-GGA, optimized geometry); crystal system = monoclinic; space-group type = C2/m
1.0
1.958 11.812 0.000
-1.958 11.812 0.000
0.000 0.450 7.515
Tl Sn S
4 2 6
Cartesian
0.000 8.355 5.907
0.000 15.719 1.608
0.000 12.335 5.616
0.000 11.739 1.898
0.000 3.826 5.415
0.000 20.248 2.100
0.000 2.504 7.409
0.000 21.570 0.105
0.000 2.330 3.553
0.000 21.743 3.962
0.000 17.181 5.369
0.000 6.893 2.146

***

ClF3 (PBE-GGA, optimized geometry); crystal system = orthorhombic; space-group type = Pnma
1.0
4.699 0.000 0.000
0.000 6.272 0.000
0.000 0.000 9.209
Cl F
4 12
Cartesian
2.943 4.704 1.437
1.756 1.568 7.772
4.106 4.704 6.042
0.593 1.568 3.167
4.212 4.704 0.406
1.711 6.093 7.811
0.638 6.093 3.206
2.836 4.704 5.011
0.638 3.315 3.206
0.487 1.568 8.803
1.711 3.315 7.811
2.987 2.957 1.398
4.061 2.957 6.003
2.987 0.179 1.398
4.061 0.179 6.003
1.862 1.568 4.198

***

TiPd (PBE-GGA, optimized geometry); crystal system = monoclinic; space-group type = P2_1/m
1.0
4.589 0.000 0.000
0.000 2.809 0.000
0.000 0.176 4.912
Ti Pd
2 2
Cartesian
1.147 2.772 1.465
3.442 0.214 3.447
1.147 1.560 3.991
3.442 1.425 0.921

***

| no. | formation energy (meV/atom) | final energy (eV/atom) |
| --- | --- | --- |
| 1 | -1458.4 | -5.29 |
| 2 | -627.3 | -3.90 |
| 3 | -954.1 | -2.51 |
| 4 | -544.9 | -7.08 |

----------

# SmSbRh

SmSbRh after structural relaxation (PBE-GGA, the Materials Project database).

Lattice parameters (Å, degrees): 4.6281 7.3490 7.8829 90.00 90.00 90.00
Closest atoms and distances in Å follow each position.
Sites, in units of the cell vectors:
Sm 0.2500 0.5140 0.1978  6 Rh 3.08-3.41, 6 Sb 3.21-3.34
Sm 0.7500 0.4860 0.8022  6 Rh 3.08-3.41, 6 Sb 3.21-3.34
Sm 0.7500 0.9860 0.6978  6 Rh 3.08-3.41, 6 Sb 3.21-3.34
Sm 0.2500 0.0140 0.3022  6 Rh 3.08-3.41, 6 Sb 3.21-3.34
Sb 0.2500 0.6865 0.5897  4 Rh 2.69-2.82
Sb 0.7500 0.3135 0.4103  4 Rh 2.69-2.82
+++
# So much for the materials data

Accessibility is a team effort.” (IBM Accessibility, 2023)

How to integrate accessibility into the backstage of Service Design?

Now, let’s bring it all together.

Service Design is the best approach by considering the steps that need to be taken in the backstage area to provide an accessible experience to the users. Furthermore, we have identified that offering accessibility is a team effort that the backstage team must consider to set the foundation for an accessible service.

In other words, it is essential that the needs of people with disabilities are being considered in every step of the backstage process for digital products. By doing so, the tasks are well distributed and can be approached step by step. Let me formulate a few approaches:

List of 7 approaches, each discussed as numbered subheadings in the text
7 Approaches to interlink Service Design with accessibility for inclusive digital products

1 — Incorporate accessibility within the product/service goal

It is worthwhile to integrate accessibility into the project goal in order to make it part of the project’s moral standards and trigger important conversations. Personally, I believe that this is a positive side effect as other than solely creating new tasks, conversations are essential to build up knowledge.

2 — Offering accessible knowledge is key

Make sure knowledge is always easily available for everyone involved within the project. It is helpful to gather a list of links, presentations, guidelines, or videos on the general accessible specifications as well as best practices and relatable examples. An accessibility expert can be a great asset to any team, as they can leverage past experience and effectively distribute knowledge to designers, developers and testers.

3 — Reconsider potential effort for accessibility work during planning

The examples I gave above, like color contrast and text definitions, require additional efforts when designing a product. These should be considered directly within the project planning for design, development, and testing tasks in order to update the application step by step.

4 — Cover accessibility aspects within design definitions

The design task consists of the challenge to add the descriptions of accessibility behaviours to the design system piece by piece, component by component. It is important not to be intimidated, but to work your way from the most used components to the less used components while adding description like colour codes, screen reader definitions, resizing behaviours or dark mode appearances.

5 — Integrate accessible behaviour as part of the development tasks

Accessible behaviour should be incorporated into the definition of done of the tasks and special technical features dependent on the platform should be considered with each new development task.

6 — Test every new product aspect for accessibility

During testing, it is essential to test the accessibility features next to the standard feature behaviours and edge cases like error messages. The accessibility functionalities like screen reader or keyboard support are part of the standardized test steps where bugs are marked accordingly.

7 — Get direct feedback for your product/service

As usual, it is recommended to generate constant feedback from users and clients on functionalities to improve the product step by step.

Finally — Let’s do it step by step!

An accessible Service Design approach creates a stronger team and a stronger product. A product that is more stable and thought-out and a product that is not only about focusing on the inclusion of people experiencing barriers, but also improving the experience for everyone in every situation. Let’s approach the accessibility related themes without reservations and integrate it within our daily work to create a more inclusive and accessible digital world for EVERYONE.

The above story is personal and does not necessarily represent IBM’s positions, strategies, or opinions.


· Gibbons, S (2017, 09. July). Service Design 101. nngroups. https://www.nngroup.com/articles/service-design-101/

· Web Content Accessibility Guidelines (WCAG) (2023.21 March). WCAG Overview. Web Accessibility Initiative (WAI). https://www.w3.org/WAI/standards-guidelines/wcag/

· IBM Accessibility (2023, 10. March). IBM Accessibility. IBM. https://www.ibm.com/able/

